Important Health and Safety Update: Masking Indoors August 6, 2021
Dear Campus Community,
Beginning Monday Aug. 9, masks will be required inside of all University of Kentucky indoor spaces, including both our academic and medical campuses, regardless of an individual’s vaccination status.
Why now?
We’ve been working diligently to review the data, understand the science and gather feedback.
- As noted in my message last week, as we monitor the situation, I will continue to regularly update you on steps we need to take as a community to continue ensuring the health and safety of everyone at UK.
- In addition to monitoring new evidence and data over this past week, members of my senior administration and I met yesterday with elected faculty, staff and student leaders to give them an update on our work to protect UK and to hear their feedback and concerns.
- Our START team of health professionals and scientists met yesterday as well for the second time in the last several days to examine the latest information and make recommendations.
- A committee I charged recently — comprised of representatives from the student body, faculty and staff — has met a number of times over the last few weeks to examine updating our policies and procedures around COVID-19 in preparation for the academic year. A fall guide will be available soon and will be circulated widely across the campus
- Members of my cabinet have been seeking feedback throughout their units as well. And, this week, university presidents in the state met twice to discuss potential health and safety measures.
The consensus was clear that mandatory indoor masking is a prudent and appropriate step, given rising rates of COVID-19 infections, dominated by a more transmissible variant.
Let me be clear: The most important protection against the virus remains vaccines. Nothing else is close. The science is unequivocal on that fact.
I’m pleased that in the last few days alone, our vaccination percentage among returning students, faculty and staff continues to increase and is now more than 70%. We are counting on you to continue this trend.
Since last week, more than 2,000 students, faculty and staff have self-reported to the university, verifying that they have been vaccinated. We have more work to do, but we are making substantial progress in our drive to vaccinate more than 80% of the campus early in the academic year.
- You can upload your vaccination form here.
- You can request a vaccination appointment on campus here.
Entry 1:
# Tm2MnC4
Calculated powder diffractogram, copper Kα. Input: a structure optimized by DFT (PBE).
Peak positions follow from Bragg's law for the DFT cell and can differ from measured ones.

Crystal structure
abc: 7.535 9.367 4.984
angles: 90.00 90.00 90.00
Space group Ibam (No. 72)
One atom of each set of equivalent atoms:
Tm  0.154  0.145  0.000 x8
Mn  0.000  0.500  0.250 x4
C  0.156  0.130  0.500 x8
C  0.172  0.420  0.000 x8

Principal peaks in the range 2θ = 5–70°, by angle:
hkl 1 2 1, 3.109 Å, intensity 100; hkl 1 3 0, 2.884 Å, intensity 45; hkl 2 1 1, 2.862 Å, intensity 88; hkl 0 0 2, 2.492 Å, intensity 27; hkl 3 1 0, 2.426 Å, intensity 30; hkl 1 1 2, 2.294 Å, intensity 24; hkl 3 3 0, 1.957 Å, intensity 17; hkl 0 4 2, 1.706 Å, intensity 23; hkl 2 5 1, 1.590 Å, intensity 22; hkl 3 3 2, 1.539 Å, intensity 32

=====

Entry 2:
# Cs4Hg5Bi2
Calculated powder diffractogram, copper Kα. Input: a structure optimized by DFT (PBE).
Peak positions follow from Bragg's law for the DFT cell and can differ from measured ones.

Crystal structure
abc: 8.892 5.844 9.842
angles: 90.00 91.35 90.00
Space group P2/m (No. 10)
One atom of each set of equivalent atoms:
Cs  0.234  0.000  0.372 x2
Cs  0.243  0.000  0.902 x2
Hg  0.173  0.500  0.629 x2
Hg  0.435  0.500  0.149 x2
Hg  0.500  0.500  0.500 x1
Bi  0.068  0.500  0.143 x2

Principal peaks in the range 2θ = 5–70°, by angle:
hkl 0 1 0, 5.844 Å, intensity 70; hkl 2 1 0, 3.538 Å, intensity 62; hkl 1 1 -2, 3.488 Å, intensity 55; hkl 1 1 2, 3.444 Å, intensity 100; hkl 0 2 0, 2.922 Å, intensity 66; hkl 3 0 -1, 2.858 Å, intensity 40; hkl 3 1 -1, 2.566 Å, intensity 44; hkl 3 0 2, 2.512 Å, intensity 22; hkl 0 0 4, 2.460 Å, intensity 20; hkl 2 1 -3, 2.428 Å, intensity 19

=====

The following is a computed powder diffractogram of NaV6O14. It was derived from a DFT-relaxed cell (GGA+U, Alexandria), using λ = 1.5418 Å (Cu Kα).

Structural model:
a b c (Å): 8.6411 8.6411 10.5245
angles (deg): 108.67 108.67 24.36
Element x y z (fractional)
Na: 0.0000 0.0000 0.0000
V: 0.1723 0.1723 0.5043
V: 0.3089 0.3089 0.8139
V: 0.3564 0.3564 0.4926
V: 0.6698 0.6698 0.2619
V: 0.7248 0.7248 0.9636
V: 0.8666 0.8666 0.2566
O: 0.1170 0.1170 0.6041
O: 0.1984 0.1984 0.3264
O: 0.2596 0.2596 0.9620
O: 0.2817 0.2817 0.6082
O: 0.3847 0.3847 0.3296
O: 0.4120 0.4120 0.8782
O: 0.4450 0.4450 0.6100
O: 0.5771 0.5771 0.1441
O: 0.6239 0.6239 0.9053
O: 0.6500 0.6500 0.4409
O: 0.7484 0.7484 0.1508
O: 0.7662 0.7662 0.8094
O: 0.8316 0.8316 0.4451
O: 0.9096 0.9096 0.1378

Main lines, in order of falling intensity (2θ = 10–90°):
| two_theta | d [Å] | I_rel |
| --- | --- | --- |
| 11.1 | 7.981 | 100 |
| 26.0 | 3.427 | 33 |
| 26.7 | 3.344 | 22 |
| 27.3 | 3.272 | 18 |
| 50.0 | 1.823 | 15 |
| 28.8 | 3.096 | 15 |
| 21.1 | 4.211 | 13 |
| 37.8 | 2.383 | 12 |

=====

Structure and calculated powder diffractogram of BaSrCrSnO6 (a DFT-relaxed cell (PBE+U, the Materials Project); Cu Kα, 1.54184 Å).
- Please don’t hesitate to reach to the UK Health Corps if you have questions about particular policies and procedures or need support or resources. Faculty, staff and students can reach Health Corps at 218-SAFE or by email at
While vaccinations are our best protection — those vaccinated contract the virus far less often than others, and when they do, they are unlikely to get seriously ill — we believe now is the time to add additional safety measures.
Masking has been shown to help prevent contracting the virus. As importantly, it helps stop the spread of the virus. Some of the latest science indicates that the Delta variant is more transmissible than early mutations of the virus.
Although it is much less likely that a vaccinated individual would contract the virus, show symptoms or become seriously ill, masking will likely help reduce the risk even further.
We want the campus to return to as normal and rewarding an experience as possible, including in-person classes and internships, a vibrant residential experience, events and games: all the things that make this place so special for everyone in this community.
What does this policy mean?
The entry is interrupted by materials data =
____________
For CsAuI2O8, a crystal structure in Alexandria, relaxed with GGA-PBE gives the simulated powder X-ray diffraction pattern in this record (a wavelength of 1.5418 Å).

Atomic structure:
a b c (Å): 6.8052 6.8052 7.9189
angles (deg): 114.30 114.30 51.48
Positions (direct):
Cs: 0.0000 0.0000 0.0000
Au: 0.5000 0.5000 0.5000
I: 0.2000 0.2000 0.6637
I: 0.8000 0.8000 0.3363
O: 0.1388 0.6297 0.3088
O: 0.1816 0.1816 0.4253
O: 0.3626 0.3626 0.8281
O: 0.3703 0.8612 0.6912
O: 0.6297 0.1388 0.3088
O: 0.6374 0.6374 0.1719
____________
- Regardless of your vaccination status, you must wear masks in all indoor spaces on campus where people gather — classrooms, the Gatton Student Center, office spaces, our recreational facilities and in common gathering spaces like the lobby of a residence hall.
- If you are in your office meeting with someone, and you both have been vaccinated, a mask is not required.
- Similarly, if a student is in a residence hall room and is with their roommate or has a guest — and everyone is vaccinated — a mask is not required.
- However, in hallways and gathering areas, conference rooms and lobbies where people come together, masks should be worn by everyone, irrespective of vaccination status.
- Masks are not required for anyone alone in indoor or outdoor spaces. However, unvaccinated individuals should wear masks outside when around other people.
As soon as we have tangible signs that the incidence of the virus is declining, as has been the case recently in other countries such as Great Britain, we hope to be positioned to remove this requirement.
The science and what we see on the ground will guide our actions. We will be nimble when we need to be, and we will always act thoughtfully and as quickly as possible to do what is in the best interests of our community.
We are continuing to gather feedback from the campus, which will include questions or other points that need to be answered and clarified. And we will work as quickly as possible to communicate those points of clarification. If you have questions or areas of concern, please reach out to our team at, and we will get back to you as soon as possible.
**Crystal structures, kept here for reference**
[1]
Structure and theoretical powder diffractogram of Ho6Si2Ge (a DFT-relaxed cell (PBE, Alexandria); Cu Ka).

The 8 most intense peaks (10 to 80 degrees two-theta), by intensity:
| 2theta | d/Å | intensity | (hkl) |
| --- | --- | --- | --- |
| 31.17 | 2.869 | 100 | 1 0 2 |
| 36.99 | 2.430 | 48 | 1 3 -1 |
| 32.84 | 2.727 | 37 | 2 1 -3 |
| 29.20 | 3.058 | 37 | 0 2 2 |
| 54.43 | 1.686 | 34 | 0 4 3 |
| 28.48 | 3.134 | 31 | 1 2 -2 |
| 36.06 | 2.491 | 27 | 2 1 0 |
| 33.87 | 2.646 | 26 | 1 1 -4 |

Crystal structure
```
data_Ho6Si2Ge
_chemical_formula_sum 'Ho12 Si4 Ge2'
_cell_length_a 6.151
_cell_length_b 7.934
_cell_length_c 11.261
_cell_angle_alpha 90.00
_cell_angle_beta 121.47
_cell_angle_gamma 90.00
_symmetry_space_group_name_H-M 'P 1 21/c 1'
_symmetry_Int_Tables_number 14
loop_
_symmetry_equiv_pos_as_xyz
'x,y,z'
'-x,-y,-z'
'-x,y+1/2,-z+1/2'
'x,-y+1/2,z+1/2'
loop_
_atom_site_label
_atom_site_fract_x
_atom_site_fract_y
_atom_site_fract_z
_atom_site_occupancy
Ho1 0.085 0.168 0.441 1
Ho2 0.308 0.685 0.436 1
Ho3 0.406 0.043 0.268 1
Si1 0.178 0.119 0.751 1
Ge1 0.000 0.000 0.000 1
```

[2]
Structure and theoretical powder diffractogram of Ho4SiGe2 (a DFT-relaxed cell (PBE, Alexandria); Cu Ka).

The 8 most intense peaks (10 to 80 degrees two-theta), by intensity:
| 2theta | d/Å | intensity | (hkl) |
| --- | --- | --- | --- |
| 32.26 | 2.775 | 100 | 3 1 0 |
| 38.39 | 2.345 | 63 | 2 1 3 |
| 53.23 | 1.721 | 40 | 3 1 4 |
| 24.86 | 3.582 | 24 | 1 1 2 |
| 28.78 | 3.102 | 22 | 2 2 0 |
| 50.99 | 1.791 | 21 | 4 2 2 |
| 65.59 | 1.423 | 21 | 6 1 1 |
| 69.42 | 1.354 | 15 | 5 1 4 |

Crystal structure
```
data_Ho4SiGe2
_chemical_formula_sum 'Ho16 Si4 Ge8'
_cell_length_a 8.777
_cell_length_b 8.777
_cell_length_c 8.770
_cell_angle_alpha 90.00
_cell_angle_beta 90.00
_cell_angle_gamma 90.00
_symmetry_space_group_name_H-M 'I -4 2 d'
_symmetry_Int_Tables_number 122
_symmetry_space_group_name_Hall 'I -4 2bw'
loop_
_atom_site_label
_atom_site_fract_x
_atom_site_fract_y
_atom_site_fract_z
_atom_site_occupancy
Ho1 0.066 0.185 0.308 1
Si1 0.000 0.000 0.000 1
Ge1 0.125 0.250 0.625 1
```

[3]
Structure and theoretical powder diffractogram of Ho7Si2Ge2 (a DFT-relaxed cell (PBE, Alexandria); Cu Ka).

The 8 most intense peaks (10 to 80 degrees two-theta), by intensity:
| 2theta | d/Å | intensity | (hkl) |
| --- | --- | --- | --- |
| 29.20 | 3.058 | 100 | 2 2 0 |
| 38.67 | 2.328 | 80 | 2 2 2 |
| 33.79 | 2.652 | 57 | 0 4 0 |
| 37.64 | 2.390 | 56 | 0 0 3 |
| 28.83 | 3.097 | 48 | 1 1 2 |
| 26.86 | 3.319 | 27 | 2 0 1 |
| 24.80 | 3.591 | 22 | 0 0 2 |
| 34.62 | 2.591 | 20 | 2 0 2 |

Crystal structure
```
data_Ho7Si2Ge2
_chemical_formula_sum 'Ho14 Si4 Ge4'
_cell_length_a 7.486
_cell_length_b 10.609
_cell_length_c 7.181
_cell_angle_alpha 90.00
_cell_angle_beta 90.00
_cell_angle_gamma 90.00
_symmetry_space_group_name_H-M 'C m m m'
_symmetry_Int_Tables_number 65
_symmetry_space_group_name_Hall '-C 2 2'
loop_
_atom_site_label
_atom_site_fract_x
_atom_site_fract_y
_atom_site_fract_z
What else is being considered?
Students who are not vaccinated will take an entry test in the coming days. They also will be tested on a regular basis throughout the school year until they are vaccinated or provide us with verification of that status. Unvaccinated students must also continue to fill out the daily health screener.
To protect our campus, we will begin considering these options for staff and faculty as well — mandatory vaccines and mandatory testing on a regular basis.
On Wednesday, UK HealthCare — along with other major health systems in Kentucky — announced that vaccines are required for the vast majority of employees. We will be considering such measures throughout the campus as well as part of a thorough and comprehensive examination of options to keep our community healthy and safe.
We are all anticipating a new school year — new beginnings and opportunities, new hopes and the expectation of something that feels familiar and right.
But I know, too, that once again we live in a world fraught with anxiety, in which we seem to confront more unknowns than knowns. That sense of uncertainty extends beyond the borders of our campus. It’s in our homes and in our schools. We worry about our children and our loved ones. While we take care of each other on our campus, we must also extend that sense of concern and compassion to our extended community as well.
I believe we can still have that experience and the year that we all want. We are facing a formidable foe in this virus. It’s a foe that we can only defeat together. I know that we can. I know that we will.
Thank you for what you do to make this community and our work possible.